Managing Pain After LASIK

Q: I will be having LASIK surgery in the near future. I am wondering about the recovery process. Will my eyes hurt after LASIK and how long is the recovery time?

A: LASIK eye surgery is an extremely safe procedure that can provide suitable candidates with clearer vision and improved quality of life. Before having LASIK, you will want to talk in-depth with the LASIK specialist who can address your questions and concerns about your specific LASIK procedure including the risks and benefits of surgery, expectations for visual outcome, and post-LASIK instructions.

After the LASIK procedure, almost everyone experiences some level of discomfort that can include dryness, burning, tearing, light sensitivity, or the sensation that something is in your eye. This is all part of the normal healing process. There may also be some intermittent blurriness after the procedure that usually subsides in a few hours. Medicated eye drops are generally used for a week following LASIK and artificial tears are recommended to help manage dryness and for general comfort. It is important that you do not rub your eyes after LASIK as this could dislodge the corneal flap.

While most people experience mild discomfort for a short period of time after the procedure, remember to always communicate clearly to your doctor what you are experiencing in terms of discomfort or pain, or vision changes, so that appropriate treatment may be prescribed if necessary.

- - -
# LaSe2 r2SCAN optimized geometry
data_LaSe2
_chemical_formula_sum 'La2 Se4'
_space_group_name_H-M_alt 'P 4/n m m'
_space_group_IT_number 129
_cell_length_a 4.225
_cell_length_b 4.225
_cell_length_c 8.695
_cell_angle_alpha 90.00
_cell_angle_beta 90.00
_cell_angle_gamma 90.00
loop_
_space_group_symop_operation_xyz
'x,y,z'
'-x,-y,-z'
'-y+1/2,x,z'
'y+1/2,-x,-z'
'-x+1/2,-y+1/2,z'
'x+1/2,y+1/2,-z'
'y,-x+1/2,z'
'-y,x+1/2,-z'
'x+1/2,-y,-z'
'-x+1/2,y,z'
'-y,-x,-z'
'y,x,z'
'-x,y+1/2,-z'
'x,-y+1/2,z'
'y+1/2,x+1/2,-z'
'-y+1/2,-x+1/2,z'
loop_
_atom_site_label
_atom_site_fract_x
_atom_site_fract_y
_atom_site_fract_z
La1 0.250 0.250 0.225
Se1 0.250 0.250 0.866
Se2 0.250 0.750 0.500
# * calculated volume: 155.21 Å³/cell
# * formation energy: -1.99 eV per atom
# * raw total energy: -64.3 eV/f.u.
- - -
[So much for the materials data]

There are several additional things that you can do post-LASIK to help minimize any discomfort and help facilitate the healing process. First, be sure to get rest right after your procedure by taking a long nap and then continue to rest your eyes as much as possible for the first day or two. Second, make sure to use as directed any prescribed medications and any recommended over-the-counter pain relievers. Third, wear your LASIK eye shields per your doctor’s instructions. Doing so will prevent you from accidentally rubbing your eyes after surgery and help to avoid other kinds of accidental contact. Fourth, carry artificial tears with you to use as needed to help with any bouts of dry eyes as well as irritation or itchiness that may be experienced during the healing process. And fifth, whenever you are outdoors, wear sunglasses or a hat with a brim to help reduce the discomfort that may occur from light sensitivity.

Recovery time after LASIK varies per individual. Many see a significant improvement in their vision within the first two days after LASIK. Generally, the best vision occurs at four weeks after the procedure and the complete healing time for LASIK is normally six months. After your LASIK procedure, you will have a series of regularly scheduled follow-up visits to monitor the healing of your eyes. Keeping these LASIK aftercare appointments is an essential part of the LASIK recovery process and provides an opportunity for continued discussion with your eye doctor about your eye health and new vision.